Entry 1:
{
  "formula": "C27H38N6OPtS",
  "method": "ωB97M-V with the def2-TZVPD basis set",
  "symbols": ["Pt", "C", "C", "N", "C", "S", "N", "N", "C", "C", "C", "C", "C", "C", "C", "N", "H", "H", "H", "H", "H", "H", "H", "H", "H", "H", "H", "H", "H", "C", "C", "C", "C", "C", "C", "C", "C", "C", "C", "C", "C", "O", "H", "H", "H", "H", "H", "H", "H", "H", "H", "H", "H", "H", "H", "H", "H", "H", "H", "C", "C", "C", "C", "N", "N", "C", "H", "H", "H", "H", "H", "H", "H", "H"],
  "coordinates": [[-0.0311, -0.2892, 0.1753], [-4.8110, -3.8752, -0.4791], [-4.5186, -2.9836, -1.6836], [-3.0993, -2.7632, -1.9262], [-2.3220, -1.9237, -1.2096], [-0.6533, -1.8540, -1.6663], [-2.9541, -1.2661, -0.2449], [-2.2193, -0.3405, 0.3942], [-2.7070, 0.2382, 1.4339], [-4.0217, -0.1520, 2.0289], [-1.9321, 1.3707, 1.9840], [-2.4141, 2.1582, 3.0211], [-1.7018, 3.2844, 3.4036], [-0.5261, 3.6012, 2.7460], [-0.0827, 2.7332, 1.7616], [-0.7568, 1.6500, 1.4024], [-5.8517, -4.2080, -0.4981], [-4.6317, -3.3329, 0.4489], [-4.1683, -4.7584, -0.4899], [-4.9904, -2.0122, -1.5427], [-4.9329, -3.4291, -2.5874], [-2.6120, -3.3569, -2.5719], [-4.3772, -1.0551, 1.5439], [-4.7686, 0.6354, 1.8973], [-3.9093, -0.3367, 3.0990], [-3.3387, 1.8937, 3.5184], [-2.0713, 3.9127, 4.2044], [0.0399, 4.4893, 2.9945], [0.8577, 2.8997, 1.2465], [3.2478, 0.2242, 1.6352], [2.7498, -0.1152, 3.0398], [1.7196, 0.9108, 3.5373], [2.1898, -1.5141, 3.2892], [2.5377, -2.0514, 4.5279], [2.0443, -3.2545, 4.9843], [1.1601, -3.9440, 4.1725], [0.7755, -3.4661, 2.9272], [-0.2548, -4.2919, 2.1708], [0.2438, -4.8121, 0.8209], [-1.5672, -3.5116, 2.0497], [1.2949, -2.2236, 2.4406], [0.9948, -1.8126, 1.1986], [3.8281, 1.1539, 1.6693], [2.4392, 0.3694, 0.9309], [3.8877, -0.5673, 1.2387], [3.6268, -0.0329, 3.6849], [0.7900, 0.8015, 2.9735], [2.0841, 1.9397, 3.4228], [1.4927, 0.7388, 4.5918], [3.2275, -1.4918, 5.1551], [2.3380, -3.6486, 5.9495], [0.7489, -4.8906, 4.5108], [-0.4563, -5.1673, 2.7936], [0.5337, -3.9919, 0.1738], [-0.5432, -5.3888, 0.3196], [1.1102, -5.4647, 0.9647], [-1.3889, -2.5731, 1.5336], [-1.9714, -3.2897, 3.0409], [-2.3147, -4.0767, 1.4834], [-2.8786, 2.7473, -3.5412], [-1.5713, 2.3552, -2.9370], [-0.2749, 2.6723, -3.2799], [0.5443, 1.9878, -2.3573], [-0.2040, 1.3092, -1.5071], [-1.4787, 1.5422, -1.8704], [2.0371, 1.9659, -2.2713], [-2.7092, 3.4393, -4.3637], [-3.5252, 3.2356, -2.8099], [-3.4067, 1.8752, -3.9328], [0.0477, 3.3007, -4.0966], [-2.2161, 1.0915, -1.3544], [2.4672, 2.5232, -3.0998], [2.4085, 0.9409, -2.3032], [2.3825, 2.4132, -1.3374]],
Now repeat only the last part of the material earlier on, starting with the line that has "formula".
  "formula": "C27H38N6OPtS",
  "method": "ωB97M-V with the def2-TZVPD basis set",
  "symbols": ["Pt", "C", "C", "N", "C", "S", "N", "N", "C", "C", "C", "C", "C", "C", "C", "N", "H", "H", "H", "H", "H", "H", "H", "H", "H", "H", "H", "H", "H", "C", "C", "C", "C", "C", "C", "C", "C", "C", "C", "C", "C", "O", "H", "H", "H", "H", "H", "H", "H", "H", "H", "H", "H", "H", "H", "H", "H", "H", "H", "C", "C", "C", "C", "N", "N", "C", "H", "H", "H", "H", "H", "H", "H", "H"],
  "coordinates": [[-0.0311, -0.2892, 0.1753], [-4.8110, -3.8752, -0.4791], [-4.5186, -2.9836, -1.6836], [-3.0993, -2.7632, -1.9262], [-2.3220, -1.9237, -1.2096], [-0.6533, -1.8540, -1.6663], [-2.9541, -1.2661, -0.2449], [-2.2193, -0.3405, 0.3942], [-2.7070, 0.2382, 1.4339], [-4.0217, -0.1520, 2.0289], [-1.9321, 1.3707, 1.9840], [-2.4141, 2.1582, 3.0211], [-1.7018, 3.2844, 3.4036], [-0.5261, 3.6012, 2.7460], [-0.0827, 2.7332, 1.7616], [-0.7568, 1.6500, 1.4024], [-5.8517, -4.2080, -0.4981], [-4.6317, -3.3329, 0.4489], [-4.1683, -4.7584, -0.4899], [-4.9904, -2.0122, -1.5427], [-4.9329, -3.4291, -2.5874], [-2.6120, -3.3569, -2.5719], [-4.3772, -1.0551, 1.5439], [-4.7686, 0.6354, 1.8973], [-3.9093, -0.3367, 3.0990], [-3.3387, 1.8937, 3.5184], [-2.0713, 3.9127, 4.2044], [0.0399, 4.4893, 2.9945], [0.8577, 2.8997, 1.2465], [3.2478, 0.2242, 1.6352], [2.7498, -0.1152, 3.0398], [1.7196, 0.9108, 3.5373], [2.1898, -1.5141, 3.2892], [2.5377, -2.0514, 4.5279], [2.0443, -3.2545, 4.9843], [1.1601, -3.9440, 4.1725], [0.7755, -3.4661, 2.9272], [-0.2548, -4.2919, 2.1708], [0.2438, -4.8121, 0.8209], [-1.5672, -3.5116, 2.0497], [1.2949, -2.2236, 2.4406], [0.9948, -1.8126, 1.1986], [3.8281, 1.1539, 1.6693], [2.4392, 0.3694, 0.9309], [3.8877, -0.5673, 1.2387], [3.6268, -0.0329, 3.6849], [0.7900, 0.8015, 2.9735], [2.0841, 1.9397, 3.4228], [1.4927, 0.7388, 4.5918], [3.2275, -1.4918, 5.1551], [2.3380, -3.6486, 5.9495], [0.7489, -4.8906, 4.5108], [-0.4563, -5.1673, 2.7936], [0.5337, -3.9919, 0.1738], [-0.5432, -5.3888, 0.3196], [1.1102, -5.4647, 0.9647], [-1.3889, -2.5731, 1.5336], [-1.9714, -3.2897, 3.0409], [-2.3147, -4.0767, 1.4834], [-2.8786, 2.7473, -3.5412], [-1.5713, 2.3552, -2.9370], [-0.2749, 2.6723, -3.2799], [0.5443, 1.9878, -2.3573], [-0.2040, 1.3092, -1.5071], [-1.4787, 1.5422, -1.8704], [2.0371, 1.9659, -2.2713], [-2.7092, 3.4393, -4.3637], [-3.5252, 3.2356, -2.8099], [-3.4067, 1.8752, -3.9328], [0.0477, 3.3007, -4.0966], [-2.2161, 1.0915, -1.3544], [2.4672, 2.5232, -3.0998], [2.4085, 0.9409, -2.3032], [2.3825, 2.4132, -1.3374]],